[Request]
It remains to write out all of the lines below without altering anything.

[Entries]
********
NaNb6S8 | r2SCAN | relaxed

Cell: 9.6527 9.6527 3.4204 Å, 90.00 90.00 120.00°
Last column: nearest neighbours and their distance in Å.
Element x y z (fractional)
S1 0.3333 0.6667 0.7502  6 Nb 2.62
S2 0.0560 0.7151 0.2492  4 Nb 2.48-2.68
S3 0.9440 0.2849 0.7508  4 Nb 2.48-2.68
S4 0.2849 0.3410 0.2492  4 Nb 2.48-2.68
Na1 0.0000 0.0000 0.5000  6 S 3.18, 2 Na 3.42
Nb1 0.6233 0.1100 0.7497  6 S 2.48-2.68
Nb2 0.1100 0.4867 0.2503  6 S 2.48-2.68
S5 0.3410 0.0560 0.7508  4 Nb 2.48-2.68
S6 0.6667 0.3333 0.2498  6 Nb 2.62
Nb3 0.5133 0.6233 0.2503  6 S 2.48-2.68
Nb4 0.3767 0.8900 0.2503  6 S 2.48-2.68
Nb5 0.8900 0.5133 0.7497  6 S 2.48-2.68
S7 0.7151 0.6590 0.7508  4 Nb 2.48-2.68
S8 0.6590 0.9440 0.2492  4 Nb 2.48-2.68
Nb6 0.4867 0.3767 0.7497  6 S 2.48-2.68

Energy of formation, meV per atom: -1250
Calculated density, g/cm3: 5.04
E_tot, Ry/atom: -1.151

~~~~~

Compound: Co20As12O57
Source: the Materials Project database
Functional: PBE with a Hubbard U
Structure: relaxed

The structure in POSCAR format:
```
Co20As12O57
1.0
8.079 -11.105 0.000
8.079 11.105 0.000
-6.936 0.000 11.998
Co As O
40 24 114
direct
0.034 0.966 0.000 Co
0.049 0.470 0.502 Co
0.103 0.531 0.347 Co
0.109 0.966 0.426 Co
0.133 0.712 0.668 Co
0.137 0.282 0.586 Co
0.202 0.780 0.521 Co
0.208 0.278 0.016 Co
0.256 0.756 0.141 Co
0.278 0.208 0.516 Co
0.282 0.137 0.086 Co
0.297 0.439 0.256 Co
0.300 0.371 0.838 Co
0.371 0.300 0.338 Co
0.381 0.803 0.833 Co
0.439 0.297 0.756 Co
0.445 0.945 0.328 Co
0.446 0.868 0.682 Co
0.467 0.617 0.921 Co
0.470 0.049 0.002 Co
0.531 0.103 0.847 Co
0.540 0.606 0.349 Co
0.606 0.540 0.849 Co
0.617 0.467 0.421 Co
0.631 0.774 0.589 Co
0.636 0.704 0.168 Co
0.704 0.636 0.668 Co
0.712 0.133 0.168 Co
0.756 0.256 0.641 Co
0.774 0.631 0.089 Co
0.780 0.202 0.021 Co
0.800 0.955 0.256 Co
0.803 0.381 0.333 Co
0.868 0.446 0.182 Co
0.874 0.939 0.685 Co
0.939 0.874 0.185 Co
0.945 0.445 0.828 Co
0.955 0.800 0.756 Co
0.966 0.034 0.500 Co
0.966 0.109 0.926 Co
0.007 0.213 0.744 As
0.025 0.377 0.058 As
0.052 0.697 0.230 As
0.113 0.279 0.331 As
0.178 0.528 0.762 As
0.202 0.849 0.940 As
0.213 0.007 0.244 As
0.279 0.113 0.831 As
0.345 0.554 0.083 As
0.357 0.711 0.389 As
0.377 0.025 0.558 As
0.447 0.615 0.665 As
0.507 0.860 0.099 As
0.528 0.178 0.262 As
0.554 0.345 0.583 As
0.615 0.447 0.165 As
0.676 0.876 0.411 As
0.697 0.052 0.730 As
0.711 0.357 0.889 As
0.779 0.947 0.999 As
0.849 0.202 0.440 As
0.860 0.507 0.599 As
0.876 0.676 0.911 As
0.947 0.779 0.499 As
0.002 0.170 0.223 O
0.009 0.436 0.968 O
0.015 0.453 0.176 O
0.051 0.829 0.280 O
0.055 0.222 0.878 O
0.065 0.754 0.546 O
0.073 0.950 0.150 O
0.082 0.506 0.816 O
0.094 0.400 0.381 O
0.101 0.136 0.026 O
0.104 0.789 0.801 O
0.108 0.679 0.136 O
0.123 0.684 0.350 O
0.126 0.433 0.623 O
0.127 0.288 0.734 O
0.136 0.101 0.526 O
0.148 0.603 0.515 O
0.159 0.383 0.109 O
0.163 0.255 0.448 O
0.170 0.002 0.723 O
0.184 0.752 0.995 O
0.185 0.966 0.008 O
0.222 0.055 0.378 O
0.227 0.662 0.767 O
0.232 0.325 0.306 O
0.235 0.929 0.507 O
0.250 0.610 0.064 O
0.255 0.163 0.948 O
0.257 0.571 0.334 O
0.276 0.913 0.230 O
0.283 0.823 0.669 O
0.286 0.413 0.986 O
0.288 0.127 0.234 O
0.295 0.516 0.835 O
0.305 0.310 0.651 O
0.310 0.305 0.151 O
0.325 0.232 0.806 O
0.334 0.901 0.937 O
0.339 0.506 0.556 O
0.343 0.775 0.297 O
0.349 0.788 0.507 O
0.383 0.159 0.609 O
0.392 0.554 0.215 O
0.400 0.094 0.881 O
0.413 0.286 0.486 O
0.414 0.845 0.163 O
0.429 0.738 0.715 O
0.433 0.126 0.123 O
0.435 0.469 0.360 O
0.436 0.009 0.468 O
0.450 0.765 0.961 O
0.453 0.015 0.676 O
0.465 0.622 0.069 O
0.469 0.435 0.860 O
0.490 0.716 0.438 O
0.491 0.951 0.838 O
0.495 0.592 0.783 O
0.506 0.082 0.316 O
0.506 0.339 0.056 O
0.516 0.295 0.335 O
0.554 0.392 0.715 O
0.555 0.995 0.106 O
0.568 0.666 0.643 O
0.571 0.257 0.834 O
0.581 0.931 0.395 O
0.592 0.495 0.283 O
0.598 0.910 0.672 O
0.603 0.148 0.015 O
0.610 0.250 0.564 O
0.622 0.465 0.569 O
0.623 0.735 0.317 O
0.627 0.851 0.173 O
0.639 0.643 0.987 O
0.643 0.639 0.487 O
0.662 0.227 0.267 O
0.666 0.568 0.143 O
0.668 0.837 0.893 O
********

[Completed]
NaNb6S8 | r2SCAN | relaxed

Cell: 9.6527 9.6527 3.4204 Å, 90.00 90.00 120.00°
Last column: nearest neighbours and their distance in Å.
Element x y z (fractional)
S1 0.3333 0.6667 0.7502  6 Nb 2.62
S2 0.0560 0.7151 0.2492  4 Nb 2.48-2.68
S3 0.9440 0.2849 0.7508  4 Nb 2.48-2.68
S4 0.2849 0.3410 0.2492  4 Nb 2.48-2.68
Na1 0.0000 0.0000 0.5000  6 S 3.18, 2 Na 3.42
Nb1 0.6233 0.1100 0.7497  6 S 2.48-2.68
Nb2 0.1100 0.4867 0.2503  6 S 2.48-2.68
S5 0.3410 0.0560 0.7508  4 Nb 2.48-2.68
S6 0.6667 0.3333 0.2498  6 Nb 2.62
Nb3 0.5133 0.6233 0.2503  6 S 2.48-2.68
Nb4 0.3767 0.8900 0.2503  6 S 2.48-2.68
Nb5 0.8900 0.5133 0.7497  6 S 2.48-2.68
S7 0.7151 0.6590 0.7508  4 Nb 2.48-2.68
S8 0.6590 0.9440 0.2492  4 Nb 2.48-2.68
Nb6 0.4867 0.3767 0.7497  6 S 2.48-2.68

Energy of formation, meV per atom: -1250
Calculated density, g/cm3: 5.04
E_tot, Ry/atom: -1.151

~~~~~

Compound: Co20As12O57
Source: the Materials Project database
Functional: PBE with a Hubbard U
Structure: relaxed

The structure in POSCAR format:
```
Co20As12O57
1.0
8.079 -11.105 0.000
8.079 11.105 0.000
-6.936 0.000 11.998
Co As O
40 24 114
direct
0.034 0.966 0.000 Co
0.049 0.470 0.502 Co
0.103 0.531 0.347 Co
0.109 0.966 0.426 Co
0.133 0.712 0.668 Co
0.137 0.282 0.586 Co
0.202 0.780 0.521 Co
0.208 0.278 0.016 Co
0.256 0.756 0.141 Co
0.278 0.208 0.516 Co
0.282 0.137 0.086 Co
0.297 0.439 0.256 Co
0.300 0.371 0.838 Co
0.371 0.300 0.338 Co
0.381 0.803 0.833 Co
0.439 0.297 0.756 Co
0.445 0.945 0.328 Co
0.446 0.868 0.682 Co
0.467 0.617 0.921 Co
0.470 0.049 0.002 Co
0.531 0.103 0.847 Co
0.540 0.606 0.349 Co
0.606 0.540 0.849 Co
0.617 0.467 0.421 Co
0.631 0.774 0.589 Co
0.636 0.704 0.168 Co
0.704 0.636 0.668 Co
0.712 0.133 0.168 Co
0.756 0.256 0.641 Co
0.774 0.631 0.089 Co
0.780 0.202 0.021 Co
0.800 0.955 0.256 Co
0.803 0.381 0.333 Co
0.868 0.446 0.182 Co
0.874 0.939 0.685 Co
0.939 0.874 0.185 Co
0.945 0.445 0.828 Co
0.955 0.800 0.756 Co
0.966 0.034 0.500 Co
0.966 0.109 0.926 Co
0.007 0.213 0.744 As
0.025 0.377 0.058 As
0.052 0.697 0.230 As
0.113 0.279 0.331 As
0.178 0.528 0.762 As
0.202 0.849 0.940 As
0.213 0.007 0.244 As
0.279 0.113 0.831 As
0.345 0.554 0.083 As
0.357 0.711 0.389 As
0.377 0.025 0.558 As
0.447 0.615 0.665 As
0.507 0.860 0.099 As
0.528 0.178 0.262 As
0.554 0.345 0.583 As
0.615 0.447 0.165 As
0.676 0.876 0.411 As
0.697 0.052 0.730 As
0.711 0.357 0.889 As
0.779 0.947 0.999 As
0.849 0.202 0.440 As
0.860 0.507 0.599 As
0.876 0.676 0.911 As
0.947 0.779 0.499 As
0.002 0.170 0.223 O
0.009 0.436 0.968 O
0.015 0.453 0.176 O
0.051 0.829 0.280 O
0.055 0.222 0.878 O
0.065 0.754 0.546 O
0.073 0.950 0.150 O
0.082 0.506 0.816 O
0.094 0.400 0.381 O
0.101 0.136 0.026 O
0.104 0.789 0.801 O
0.108 0.679 0.136 O
0.123 0.684 0.350 O
0.126 0.433 0.623 O
0.127 0.288 0.734 O
0.136 0.101 0.526 O
0.148 0.603 0.515 O
0.159 0.383 0.109 O
0.163 0.255 0.448 O
0.170 0.002 0.723 O
0.184 0.752 0.995 O
0.185 0.966 0.008 O
0.222 0.055 0.378 O
0.227 0.662 0.767 O
0.232 0.325 0.306 O
0.235 0.929 0.507 O
0.250 0.610 0.064 O
0.255 0.163 0.948 O
0.257 0.571 0.334 O
0.276 0.913 0.230 O
0.283 0.823 0.669 O
0.286 0.413 0.986 O
0.288 0.127 0.234 O
0.295 0.516 0.835 O
0.305 0.310 0.651 O
0.310 0.305 0.151 O
0.325 0.232 0.806 O
0.334 0.901 0.937 O
0.339 0.506 0.556 O
0.343 0.775 0.297 O
0.349 0.788 0.507 O
0.383 0.159 0.609 O
0.392 0.554 0.215 O
0.400 0.094 0.881 O
0.413 0.286 0.486 O
0.414 0.845 0.163 O
0.429 0.738 0.715 O
0.433 0.126 0.123 O
0.435 0.469 0.360 O
0.436 0.009 0.468 O
0.450 0.765 0.961 O
0.453 0.015 0.676 O
0.465 0.622 0.069 O
0.469 0.435 0.860 O
0.490 0.716 0.438 O
0.491 0.951 0.838 O
0.495 0.592 0.783 O
0.506 0.082 0.316 O
0.506 0.339 0.056 O
0.516 0.295 0.335 O
0.554 0.392 0.715 O
0.555 0.995 0.106 O
0.568 0.666 0.643 O
0.571 0.257 0.834 O
0.581 0.931 0.395 O
0.592 0.495 0.283 O
0.598 0.910 0.672 O
0.603 0.148 0.015 O
0.610 0.250 0.564 O
0.622 0.465 0.569 O
0.623 0.735 0.317 O
0.627 0.851 0.173 O
0.639 0.643 0.987 O
0.643 0.639 0.487 O
0.662 0.227 0.267 O
0.666 0.568 0.143 O
0.668 0.837 0.893 O